_Wanted_
The reader should find the line further down that holds "5.0 states/eV/cell", then copy that line and all lines after it there.

_Data_
[1]
Compound: Ba2HoP3Pt12
Source: Alexandria
Functional: PBE-GGA
Structure: relaxed

Structure (POSCAR):
```
Ba2HoP3Pt12
1.0
4.217 2.435 6.267
-4.217 2.435 6.267
0.000 -4.870 6.267
Ba Ho P Pt
2 1 3 12
Direct
0.104 0.104 0.104
0.896 0.896 0.896
0.500 0.500 0.500
0.000 0.500 0.500
0.500 0.000 0.500
0.500 0.500 0.000
0.109 0.628 0.628
0.170 0.170 0.592
0.170 0.592 0.170
0.372 0.372 0.891
0.372 0.891 0.372
0.408 0.830 0.830
0.592 0.170 0.170
0.628 0.109 0.628
0.628 0.628 0.109
0.830 0.408 0.830
0.830 0.830 0.408
0.891 0.372 0.372
```

DOS at the Fermi energy = 5.0 states/eV/cell
Theoretical density = 12.4 g/cm3
Magnetic moment = 0.0 μB per cell
DFT formation energy = -0.39 eV per atom



[2]
Compound: Ac2TmBi2O2
Source: Alexandria
Functional: PBE-GGA
Structure: relaxed

Structure (POSCAR):
```
Ac2TmBi2O2
1.0
-2.248 2.248 8.755
2.248 -2.248 8.755
2.248 2.248 -8.755
Ac Tm Bi O
2 1 2 2
Direct
0.111 0.111 0.000
0.889 0.889 0.000
0.500 0.500 0.000
0.313 0.313 0.000
0.687 0.687 0.000
0.000 0.500 0.500
0.500 0.000 0.500
```

DOS at the Fermi energy = 3.2 states/eV/cell
Energy relative to the elements, uncorrected = -1.945 eV/atom
Theoretical density = 10.1 g/cm3
Magnetic moment = 0.0 μB per cell



[3]
Compound: BaY2Cu
Source: Alexandria
Functional: PBE-GGA
Structure: relaxed

Structure (POSCAR):
```
BaY2Cu
1.0
0.000 3.965 3.965
3.965 0.000 3.965
3.965 3.965 0.000
Ba Y Cu
1 2 1
Direct
0.000 0.000 0.000
0.250 0.250 0.250
0.500 0.500 0.500
0.750 0.750 0.750
```

DOS at the Fermi energy = 6.2 states/eV/cell
Theoretical density = 5.0 g/cm3
Magnetic moment = 0.0 μB per cell
Energy above the lowest structure with this stoichiometry = 406 meV per atom
DFT formation energy = 0.44 eV per atom



[4]
Compound: PuP2Pt8
Source: Alexandria
Functional: PBE-GGA
Structure: relaxed

Structure (POSCAR):
```
PuP2Pt8
1.0
-3.021 3.021 5.434
3.021 -3.021 5.434
3.021 3.021 -5.434
Pu P Pt
1 2 8
Direct
0.000 0.000 0.000
0.250 0.750 0.500
0.750 0.250 0.500
0.149 0.149 0.554
0.149 0.595 0.000
0.405 0.405 0.554
0.405 0.851 0.000
0.595 0.149 0.000
0.595 0.595 0.446
0.851 0.405 0.000
0.851 0.851 0.446
```

DOS at the Fermi energy = 16.7 states/eV/cell
Theoretical density = 15.6 g/cm3
Magnetic moment = 3.9 μB per cell
DFT formation energy = -0.18 eV per atom



Q: Look up the theoretical density of the third one.
A: 5.0 g/cm3



Q: Number 4 is which compound?
A: PuP2Pt8



Copy entry 4 word for word.
Compound: PuP2Pt8
Source: Alexandria
Functional: PBE-GGA
Structure: relaxed

Structure (POSCAR):
```
PuP2Pt8
1.0
-3.021 3.021 5.434
3.021 -3.021 5.434
3.021 3.021 -5.434
Pu P Pt
1 2 8
Direct
0.000 0.000 0.000
0.250 0.750 0.500
0.750 0.250 0.500
0.149 0.149 0.554
0.149 0.595 0.000
0.405 0.405 0.554
0.405 0.851 0.000
0.595 0.149 0.000
0.595 0.595 0.446
0.851 0.405 0.000
0.851 0.851 0.446
```

DOS at the Fermi energy = 16.7 states/eV/cell
Theoretical density = 15.6 g/cm3
Magnetic moment = 3.9 μB per cell
DFT formation energy = -0.18 eV per atom

=====

Ba2Na3US6 | PBE-GGA | relaxed

* total energy: -5.2098 eV/atom
* SG: C2/m, No. 12

a = 7.6431 Å, b = 7.6431 Å, c = 7.0823 Å
α = 99.74°, β = 99.74°, γ = 120.95°
Fractional coordinates of all 12 atoms:
Ba 0.1698 0.8302 0.0000
Ba 0.8302 0.1698 0.0000
Na 0.0000 0.0000 0.5000
Na 0.3565 0.6435 0.5000
Na 0.6435 0.3565 0.5000
U 0.5000 0.5000 0.0000
S 0.1416 0.4235 0.7635
S 0.2793 0.2793 0.2209
S 0.4235 0.1416 0.7635
S 0.5765 0.8584 0.2365
S 0.7207 0.7207 0.7791
S 0.8584 0.5765 0.2365

=====

DyV2GaO8 (PBE+U, optimized geometry); final energy = -87.6 eV/cell; SG = I-4m2; size of the total moment = 0.000 μB per formula unit
1.0
-1.629 3.225 -4.551
-1.169 -5.662 -0.585
-2.966 1.908 4.619
O V Ga Dy
8 2 1 1
Cartesian
-1.672 -1.485 -0.887
-3.085 1.833 2.217
-4.005 -0.713 1.114
-3.439 3.406 -0.354
-2.647 2.292 -2.942
-2.765 -0.693 -3.479
-4.308 0.785 -1.323
-1.594 1.345 -0.382
-2.997 1.957 -1.250
-1.399 -1.218 -2.568
0.000 0.000 0.000
-2.767 -2.486 0.733

=====

Record 1

_Response_
DOS at the Fermi energy = 5.0 states/eV/cell
Theoretical density = 12.4 g/cm3
Magnetic moment = 0.0 μB per cell
DFT formation energy = -0.39 eV per atom



[2]
Compound: Ac2TmBi2O2
Source: Alexandria
Functional: PBE-GGA
Structure: relaxed

Structure (POSCAR):
```
Ac2TmBi2O2
1.0
-2.248 2.248 8.755
2.248 -2.248 8.755
2.248 2.248 -8.755
Ac Tm Bi O
2 1 2 2
Direct
0.111 0.111 0.000
0.889 0.889 0.000
0.500 0.500 0.000
0.313 0.313 0.000
0.687 0.687 0.000
0.000 0.500 0.500
0.500 0.000 0.500
```

DOS at the Fermi energy = 3.2 states/eV/cell
Energy relative to the elements, uncorrected = -1.945 eV/atom
Theoretical density = 10.1 g/cm3
Magnetic moment = 0.0 μB per cell



[3]
Compound: BaY2Cu
Source: Alexandria
Functional: PBE-GGA
Structure: relaxed

Structure (POSCAR):
```
BaY2Cu
1.0
0.000 3.965 3.965
3.965 0.000 3.965
3.965 3.965 0.000
Ba Y Cu
1 2 1
Direct
0.000 0.000 0.000
0.250 0.250 0.250
0.500 0.500 0.500
0.750 0.750 0.750
```

DOS at the Fermi energy = 6.2 states/eV/cell
Theoretical density = 5.0 g/cm3
Magnetic moment = 0.0 μB per cell
Energy above the lowest structure with this stoichiometry = 406 meV per atom
DFT formation energy = 0.44 eV per atom



[4]
Compound: PuP2Pt8
Source: Alexandria
Functional: PBE-GGA
Structure: relaxed

Structure (POSCAR):
```
PuP2Pt8
1.0
-3.021 3.021 5.434
3.021 -3.021 5.434
3.021 3.021 -5.434
Pu P Pt
1 2 8
Direct
0.000 0.000 0.000
0.250 0.750 0.500
0.750 0.250 0.500
0.149 0.149 0.554
0.149 0.595 0.000
0.405 0.405 0.554
0.405 0.851 0.000
0.595 0.149 0.000
0.595 0.595 0.446
0.851 0.405 0.000
0.851 0.851 0.446
```

DOS at the Fermi energy = 16.7 states/eV/cell
Theoretical density = 15.6 g/cm3
Magnetic moment = 3.9 μB per cell
DFT formation energy = -0.18 eV per atom



Q: Look up the theoretical density of the third one.
A: 5.0 g/cm3



Q: Number 4 is which compound?
A: PuP2Pt8



Copy entry 4 word for word.
Compound: PuP2Pt8
Source: Alexandria
Functional: PBE-GGA
Structure: relaxed

Structure (POSCAR):
```
PuP2Pt8
1.0
-3.021 3.021 5.434
3.021 -3.021 5.434
3.021 3.021 -5.434
Pu P Pt
1 2 8
Direct
0.000 0.000 0.000
0.250 0.750 0.500
0.750 0.250 0.500
0.149 0.149 0.554
0.149 0.595 0.000
0.405 0.405 0.554
0.405 0.851 0.000
0.595 0.149 0.000
0.595 0.595 0.446
0.851 0.405 0.000
0.851 0.851 0.446
```

DOS at the Fermi energy = 16.7 states/eV/cell
Theoretical density = 15.6 g/cm3
Magnetic moment = 3.9 μB per cell
DFT formation energy = -0.18 eV per atom

=====

Ba2Na3US6 | PBE-GGA | relaxed

* total energy: -5.2098 eV/atom
* SG: C2/m, No. 12

a = 7.6431 Å, b = 7.6431 Å, c = 7.0823 Å
α = 99.74°, β = 99.74°, γ = 120.95°
Fractional coordinates of all 12 atoms:
Ba 0.1698 0.8302 0.0000
Ba 0.8302 0.1698 0.0000
Na 0.0000 0.0000 0.5000
Na 0.3565 0.6435 0.5000
Na 0.6435 0.3565 0.5000
U 0.5000 0.5000 0.0000
S 0.1416 0.4235 0.7635
S 0.2793 0.2793 0.2209
S 0.4235 0.1416 0.7635
S 0.5765 0.8584 0.2365
S 0.7207 0.7207 0.7791
S 0.8584 0.5765 0.2365

=====

DyV2GaO8 (PBE+U, optimized geometry); final energy = -87.6 eV/cell; SG = I-4m2; size of the total moment = 0.000 μB per formula unit
1.0
-1.629 3.225 -4.551
-1.169 -5.662 -0.585
-2.966 1.908 4.619
O V Ga Dy
8 2 1 1
Cartesian
-1.672 -1.485 -0.887
-3.085 1.833 2.217
-4.005 -0.713 1.114
-3.439 3.406 -0.354
-2.647 2.292 -2.942
-2.765 -0.693 -3.479
-4.308 0.785 -1.323
-1.594 1.345 -0.382
-2.997 1.957 -1.250
-1.399 -1.218 -2.568
0.000 0.000 0.000
-2.767 -2.486 0.733

=====

Record 1